Contents:
Below is crystalline YCoPF2 at its relaxed geometry, with properties calculated at the PBE with a Hubbard U level.

a b c (Å): 3.8337 3.8337 7.3255
angles (deg): 90.00 90.00 90.00
Fractional positions:
Y (0.0000, 0.0000, 0.0000)
Co (0.0000, 0.0000, 0.5000)
P (0.5000, 0.5000, 0.0000)
F (0.0000, 0.5000, 0.5000)
F (0.5000, 0.0000, 0.5000)

Its symmetry is No. 123. The total magnetization comes out at 0.563 μB/atom. The calculation puts the volume at 21.53 Å³ per atom. The total DFT energy (no corrections) is -27.1 eV/cell.


VASP calculation (PBE) on a relaxed structure of ReSiP2O.

Calculated values
Offset from the most stable computed form in meV per atom: 84
ΔE_f (raw) in eV/atom: 0.229

The structure in POSCAR format:
```
ReSiP2O
1.0
4.676 0.000 0.000
0.000 4.676 0.000
0.000 0.000 3.193
P Re O Si
2 1 1 1
Direct
0.500 0.000 0.000
0.000 0.500 0.000
0.500 0.500 0.500
0.000 0.000 0.500
0.000 0.000 0.000
```

Brief:
What is needed: search the block further up for the word "on" and repeat each line that has it.

Reply:
VASP calculation (PBE) on a relaxed structure of ReSiP2O.